lunes, 17 de noviembre de 2008

correction of one post from last semester

BBC learning

This side is excellent, Not only helps to improve the grammar and pronunciation of the English language, since it allows hear that there are examples, but also allows you to read, watch and listen to issues of interest that often can only be seen by television.

I can to find every theme, from science to entertainment, and I can find articles, presentations and also videos of news that were published in the television.

I Liked too much, I didn´t knew this website, in special I liked that is in the section science/nature, it called “First contact to earthquake zone” (by Richard Black, Environment correspondent, BBC News website, Vienna.).This project made 8 perforations to crust, for to install a series of sensors movement, which would allow developing an early warning system to alert the population of possible earthquakes and tsunamis as the Sumatra in December 2004. I believe that is very interesting for all the people, especially for those who live in areas of subduction plate, Because there is a danger that this type of occurrence of natural disasters.


domingo, 16 de noviembre de 2008

My favorite Photo

Photo taken in August 2007

The fact is that there are many pictures that I like a lot, next to my family, friends of the university, college and life. The photos have that quality even though it sounds a little repetitive, capturing moments, and frozen in time because I do remember great moments of my life, that does not necessarily have always been happy, but also sad that there have been moments to remember me do think that I am fortunate as to have a wonderful family, as the picture that I'm showing, which reflects the primary motivation of my life, my family, I love spending time with them and be able to share those things that you can not touch, can only be felt in a certain place and time, are moments that you never forget (unless I with Alzheimer's disease). and when I look at their strange pictures and feel close to me.

the last field trip in Alhué

=====
#P
Density functional theory data (ωB97M-V with the def2-TZVPD basis set) for a cluster of 2 separate species, C2H8N2 in total.

Last columns: bonded neighbours and bond lengths (Å).
Cartesian coordinates (Å):
1 N -1.935 0.026 0.507  C2 1.474, H5 1.036
2 C -0.766 -0.115 -0.380  N1 1.474, C3 1.553, H6 1.103, H8 1.091
3 C 0.673 0.468 -0.353  C2 1.553, N4 1.398, H9 1.100, H10 1.118
4 N 1.886 -0.219 -0.240  C3 1.398, H12 1.038
5 H -2.003 1.038 0.717  N1 1.036
6 H -0.905 -1.191 -0.176  C2 1.103
7 H 0.757 -1.275 2.426  H11 0.755
8 H -1.087 0.008 -1.415  C2 1.091
9 H 0.911 1.029 0.564  C3 1.100
10 H 0.813 1.215 -1.172  C3 1.118
11 H 0.189 -0.789 2.530  H7 0.755
12 H 2.152 -0.841 -1.027  N4 1.038

The HOMO energy (alpha / beta) is -15.84 / -16.63 eV. The expectation value of S² is 1.267. Its total charge is +1. Its spin multiplicity is 2.

Results of the Löwdin charge analysis, in e, for atoms 1 through 4: N 0.2248; C -0.2176; C -0.2246; N 0.3285



#Q
Density functional theory data (ωB97M-V with the def2-TZVPD basis set) for the ion C2H8N2 with charge +1.

Last columns: bonded neighbours and bond lengths (Å).
Cartesian coordinates (Å):
1 C -0.148 0.583 -0.370  C2 1.502, N4 1.541, H5 1.177, H6 1.135
2 C 0.098 -0.782 0.208  C1 1.502, N3 1.623, H7 1.155, H8 1.200
3 N 1.259 -0.973 1.327  C2 1.623, H9 1.032, H10 1.018
4 N -1.445 1.027 -1.073  C1 1.541, H11 0.998, H12 1.001
5 H 0.930 0.870 -0.745  C1 1.177
6 H 0.023 1.369 0.431  C1 1.135
7 H 0.390 -1.426 -0.704  C2 1.155
8 H -0.889 -1.015 0.851  C2 1.200
9 H 2.086 -0.507 0.923  N3 1.032
10 H 1.032 -0.443 2.165  N3 1.018
11 H -2.154 0.332 -0.975  N4 0.998
12 H -1.182 0.966 -2.037  N4 1.001

The HOMO energy (alpha / beta) is -16.65 / -14.77 eV. The expectation value of S² is 0.762. Its total charge is +1. Its spin multiplicity is 2.

Results of the Löwdin charge analysis, in e, for atoms 1 through 4: C -0.2398; C -0.1772; N 0.1545; N 0.2193



Top of the stability list: #Q, leading by 0.1695 hartree.



#P
Density functional theory data (ωB97M-V with the def2-TZVPD basis set) for the molecule C21H20N2O5S.

Last columns: bonded neighbours and bond lengths (Å).
Cartesian coordinates (Å):
1 C -1.361 -3.406 -1.505  H2 1.093, O3 1.409, H48 1.089, H49 1.094
2 H -0.542 -2.959 -2.075  C1 1.093
3 O -2.076 -2.431 -0.781  C1 1.409, C4 1.358
4 C -1.407 -1.708 0.153  O3 1.358, C5 1.385, C9 1.397
5 C -0.061 -1.844 0.446  C4 1.385, C6 1.395, H47 1.077
6 C 0.523 -1.057 1.439  C5 1.395, C7 1.385, C17 1.493
7 C -0.241 -0.133 2.131  C6 1.385, C8 1.397, H16 1.078
8 C -1.599 0.011 1.831  C7 1.397, C9 1.385, O11 1.360
9 C -2.178 -0.775 0.850  C4 1.397, C8 1.385, H10 1.077
10 H -3.221 -0.701 0.590  C9 1.077
11 O -2.260 0.950 2.559  C8 1.360, C12 1.408
12 C -3.633 1.142 2.318  O11 1.408, H13 1.089, H14 1.094, H15 1.094
13 H -3.944 1.931 3.001  C12 1.089
14 H -4.207 0.234 2.528  C12 1.094
15 H -3.819 1.458 1.287  C12 1.094
16 H 0.149 0.485 2.924  C7 1.078
17 C 1.984 -1.277 1.653  C6 1.493, O18 1.214, N19 1.366
=====

This month we have more field trips than at any other time in our passage by the university, but the trip was the last of Alhué village, a commune is located south of the metropolitan area circumscribed by the sixth region of the Bernardo O’Higgins Liberator, was really quite tiring for me this trip, because I had to get up the sun was just emerging with a group of peers to be able to count birds at various points around the river of the same name, that we were among the 8 and 12 of the day, then had to collect bugs from trees, then collect samples of tiny creatures from the bottom of the river, then up in the afternoon to hear a herbarium of plants instead, that we were all day, finishing or even very late at night, then get to the school where we were staying to cook for all my colleagues and prepare lunch the next day, actually finished very tired and I think they were not the only one, I take this opportunity to apologize for my absences to classes, and that is that even if had the intentions of coming to class, could not wake up.